Monday, 24 November 2014

Just a matter of geography

So, we're into Doctor Who now. We're Whovians.

Which is awesome, because it means we've reached a point where the entire family can agree on what to watch (so long, Disney channel sitcoms!). 

But we may be getting a little too obsessed....some members of the family more than others. It's pretty much all we talk about at the table, and the kids are constantly drawing Doctor Who pictures, and one of us may have been a little too excited to find, when she googled David Tennant, that he was born in 1971, because that means he's only one year older than me, which means that if we ever did meet and fall in love (inevitable), there wouldn't be an awkward age-gap.

This is similar to my early-90's certainty that if John Cusack just MET me, everything else would fall into place.

I just need to make sure that Amy Adams pops by on the same day, so DH gets his wish, too.

Tuesday, 18 November 2014

You may not recognize me

I joined a gym.

And I've actually gone to it. Like, 3 times.

So if you pass me on the street and don't recognize me, I'll understand. Pretty major transformations goin' on over here.

Speaking of major transformations, you know that cartoon where the elderly woman is walking down the street, but her shadow is her as a young ballerina? I pretty much lived that moment when I caught sight of myself during Sh'Bam class. I almost didn't recognize the old lady shimmying away in the mirror, and then I realized she was wearing the same clothes as me.

Sh'Bam, by the way, is one of the most delightfully ridiculous workouts I've ever done. (I keep calling it Sha-Boom, but that would something else. Very slowly doing jazz squares to old doo-wop songs, I would guess.)

But back to Sh'Bam. Remember how excited I was when Just Dance had that song on it that made me feel like a Solid Gold dancer? Now I get to do moves like that IN PUBLIC. Seriously, there's actually a move where you kind of do a tiger-growly-swiping at the air move. One step away from the Solid Gold dancer patented crawl-seductively-towards-the-camera move. I may start wearing a head band and leg warmers to class, just to get the full effect.

Also, there was a part when we were doing the MC Hammer dance (seriously, I couldn't make this stuff up) and I looked in the mirror and wondered who was dancing so close behind me. Then I realized that it was just my butt, taking up way more real estate than it ever did before.

Still, I walk out laughing, which is more than I can say for any of the people working on the machines. Unless they're watching me Sh'Bamming away through the windows, in which case we're all getting a good chuckle.

Tuesday, 15 July 2014

This is a test.

This is a test of the emergency parenting system.

== These data records were left in the page by mistake ==
┌──
Structure and simulated X-ray powder pattern of CdH5C6N2O5 (a cell relaxed with GGA-PBE; a wavelength of 1.5418 Å).
Lines closer than 0.1° are merged.

Most intense lines, 2θ = 10–80°, in order of rising 2θ:
hkl 0 0 1, 12.3 deg, I = 100; hkl 0 1 1, 13.7 deg, I = 60; hkl 1 0 0, 14.7 deg, I = 23; hkl 1 1 1, 17.5 deg, I = 18; hkl 1 1 0, 19.8 deg, I = 33; hkl 1 -1 1, 21.7 deg, I = 26; hkl 0 1 2, 23.2 deg, I = 37; hkl 2 0 1, 27.8 deg, I = 51; hkl 2 0 2, 31.3 deg, I = 69; hkl -1 1 2, 31.5 deg, I = 25

Crystal structure
a = 6.455 Å, b = 7.888 Å, c = 8.245 Å
α = 68.66°, β = 69.69°, γ = 86.97°
Element x y z (fractional)
Cd: 0.142 0.314 0.127
Cd: 0.858 0.686 0.873
H: 0.016 0.468 0.681
H: 0.070 0.658 0.510
H: 0.284 0.046 0.458
H: 0.353 0.822 0.563
H: 0.477 0.343 0.639
H: 0.523 0.657 0.361
H: 0.647 0.178 0.437
H: 0.716 0.954 0.542
H: 0.930 0.342 0.490
H: 0.984 0.532 0.319
C: 0.120 0.902 0.209
C: 0.244 0.985 0.005
C: 0.349 0.908 0.874
C: 0.358 0.716 0.887
C: 0.412 0.209 0.745
C: 0.423 0.961 0.468
C: 0.577 0.039 0.532
C: 0.588 0.791 0.255
C: 0.642 0.284 0.113
C: 0.651 0.092 0.126
C: 0.756 0.015 0.995
C: 0.880 0.098 0.791
N: 0.288 0.172 0.921
N: 0.455 0.052 0.712
N: 0.545 0.948 0.288
N: 0.712 0.828 0.079
O: 0.041 0.009 0.295
O: 0.077 0.596 0.639
O: 0.106 0.729 0.289
O: 0.172 0.620 0.969
O: 0.461 0.343 0.185
O: 0.539 0.657 0.815
O: 0.828 0.380 0.031
O: 0.894 0.271 0.711
O: 0.923 0.404 0.361
O: 0.959 0.991 0.705

=====

[1]
# PrUCo
Computed XRD peak list, Cu Kα, 1.54184 Å. Input: the GGA-PBE geometry in Alexandria.

Atomic structure:
Unit cell a=7.3024 b=5.8446 c=3.4565 alpha=90.00 beta=90.00 gamma=90.00
Space group Pmma (No. 51)
Inequivalent atoms, fractional coordinates:
Pr  0.2500  0.0000  0.2218
U  0.0000  0.5000  0.5000
Co  0.2500  0.5000  0.9739

Top 6 peaks for 2θ = 10–90°, by angle:
Position (°2θ), I/Imax, (hkl)
15.2, 51, 0 1 0
28.8, 100, 2 1 0
30.6, 86, 0 2 0
35.8, 60, 2 0 1
39.1, 67, 2 1 1
47.8, 53, 2 2 1



[2]
# Pr12YCo6
Computed XRD peak list, Cu Kα, 1.54184 Å. Input: the GGA-PBE geometry in Alexandria.

Atomic structure:
Unit cell a=10.1785 b=10.1785 c=10.1785 alpha=90.00 beta=90.00 gamma=90.00
Space group Im-3 (No. 204)
Inequivalent atoms, fractional coordinates:
Pr  0.0000  0.3106  0.1949
Y  0.0000  0.0000  0.0000
Co  0.0000  0.1102  0.5000

Top 6 peaks for 2θ = 10–90°, by angle:
Position (°2θ), I/Imax, (hkl)
27.7, 49, 3 0 1
30.4, 49, 2 2 2
32.9, 100, 3 1 2
45.4, 28, 5 0 1
52.4, 37, 5 3 0
55.7, 37, 5 2 3



[3]
# Pr4YCo4
Computed XRD peak list, Cu Kα, 1.54184 Å. Input: the GGA-PBE geometry in Alexandria.

Atomic structure:
Unit cell a=8.5974 b=8.5974 c=5.8389 alpha=90.00 beta=90.00 gamma=90.00
Space group P4_2/n (No. 86, origin choice 2)
Inequivalent atoms, fractional coordinates:
Pr  0.0545  0.6769  0.1291
Y  0.2500  0.2500  0.2500
Co  0.0110  0.6128  0.6037

Top 6 peaks for 2θ = 10–90°, by angle:
Position (°2θ), I/Imax, (hkl)
27.8, 64, 2 1 1
32.4, 59, 1 0 2
32.9, 100, 1 3 0
38.7, 40, 1 2 2
47.3, 28, 4 2 0
49.3, 34, 2 3 2



[4]
# Pr2YCo
└──

Child comes out of the bathroom and says, "Something weird is going on. My underpants are all pink."

Mom and Dad exchange a significant look as Mom leaps off of the couch towards the child.

Dad beats a hasty retreat upstairs.

Mom realizes she is completely unprepared and has no idea what the next words out of her mouth should be.

Mom: "What do you mean, your underpants are all pink?"

Child shows Mom.  Her underwear is pink. As in, they went through the laundry with something red, and the underwear is now pink.

This was only a test.

If this were truly a parenting emergency, bottles of wine would have lowered from the ceiling, and Carol Brady would have been immediately dispatched to your home. 

Sunday, 11 May 2014

Don't you hate it...

...when your kids teach you stuff you should already know?

We came home from swimming lessons on Saturday morning to find DH in a bit of a lather about the state of the house.

(We've kind of let the housekeeping slide over the last few weeks. And the 15 years before that.)

So DH had made a list of chores for everyone to do.

Seriously, he had written it all down on a piece of paper.

So, we finished eating, then scattered to every corner of the house to get to work.

As I cleared off the kitchen table, I picked up the list. 

S had edited it - or, as she wrote at the bottom of it, the list had been "S"-ified.

She had drawn hearts all over it, and at the end of the list of chores, she had written:

"Everybody relax.

Have fun."

Happy Mother's Day to all of you out there who, like me, have to keep relearning the same lessons over and over again. Thank goodness 9-year-olds are good teachers.

Thursday, 10 April 2014

Choose your words carefully

It's not so much miscommunication, as it is people's minds skipping ahead a few grooves in the conversation.
  • I'm getting my gall bladder out. I explained to the girls that it is being done 'by a robot' as the doctor will be in one corner of the room, and he will remotely control the scope going in through my belly button. (Crazy!)
But a few minutes into the conversation, one of the girls looked at me worriedly and said, "So, how does the robot get out of there after?"
  • I got a summons for jury duty. I know!
After doing what I thought was a pretty good job of explaining it to them (including "and then you decide if someone is going to have to go to jail"), one of the girls looked at me worriedly and asked, "But, could you end up going to jail?" 
  • We were talking about a dog that got hit by a car in our neighbourhood. 
DH: "I remember the woman was sitting there on the side of the road, with the dog's head in her lap, just crying..."
Pause as we all think of how sad that must've been.
K: "Wait a minute. The dog's HEAD in her lap?"
Me: "No, was still attached to the dog."

And this last one was more about wanting the conversation to skip ahead a few grooves, so it would just end.

The subject of puberty came up during dinner the other night. After a lot of moaning and gagging and eye rolling, K and S beat a hasty retreat as soon as they could.

E, bless her heart, stuck around.

But after a few minutes, Pop launched into "Isn't it amazing, though, that you will be able to create a life inside your own body?"

She nodded half-heartedly, looked down into her folded arms, and did a long, slow, exhale.

It was truly a deep, cleansing breath. Like she was just steeling herself for the rest of the conversation.

But then we were laughing too hard at her reaction to continue.

Saturday, 5 April 2014

And I said, "Pardon?"

Conversation over breakfast.

DH: "Are you going to eat your waffles?"

Child: "I will not eat my butthole."

DH: "What?"

Child: "I will not eat my butthole."

DH: "I said are you going to eat your waffles."

Child: "Oh."

DH: "Are your ears plugged?"

Child: "Yeah."

The thing is, there was no real reaction to DH saying such a thing. It was a very calm and measured response.

Unrelated to this article: calculated crystals:
=====
[1]
Diffraction record for SrFe3As. The powder XRD pattern is simulated, not measured: it uses a structure optimized by DFT (PBE) and CuKα.
Peak positions follow from Bragg's law for the DFT cell and can differ from measured ones.

Most intense lines, 10 to 90 degrees two-theta, by angle:
Position (°2θ)	intensity	(hkl)
19.24	13	1 0 0
27.35	50	1 1 0
33.66	61	1 1 1
39.06	100	2 0 0
48.34	21	2 1 1
56.43	65	2 2 0
67.33	21	3 1 1
70.76	21	2 2 2

Crystal structure
abc: 4.6123 4.6123 4.6123
angles: 90.00 90.00 90.00
Space group Pm-3m (No. 221)
Asymmetric unit:
1 Sr 0.0000 0.0000 0.0000
2 Fe 0.0000 0.5000 0.5000
3 As 0.5000 0.5000 0.5000

[2]
Diffraction record for TbDy4Ho10. The powder XRD pattern is simulated, not measured: it uses a structure optimized by DFT (PBE) and CuKα.
Peak positions follow from Bragg's law for the DFT cell and can differ from measured ones.

Most intense lines, 10 to 90 degrees two-theta, by angle:
Position (°2θ)	intensity	(hkl)
20.16	25	2 1 1
23.32	14	1 3 0
33.22	100	4 2 0
39.17	14	5 0 1
47.69	18	2 6 0
59.36	38	7 1 2
69.74	12	8 4 0
79.47	17	10 0 0

Crystal structure
abc: 12.0641 12.0641 7.6228
angles: 90.00 90.00 90.00
Space group I4/m (No. 87)
Asymmetric unit:
1 Tb 0.0000 0.0000 0.0000
2 Dy 0.1003 0.2998 0.5000
3 Ho 0.0000 0.5000 0.2500
4 Ho 0.0997 0.7997 0.2502

[3]
Diffraction record for SbRh3. The powder XRD pattern is simulated, not measured: it uses a structure optimized by DFT (PBE) and CuKα.
Peak positions follow from Bragg's law for the DFT cell and can differ from measured ones.

Most intense lines, 10 to 90 degrees two-theta, by angle:
Position (°2θ)	intensity	(hkl)
39.39	100	1 1 1
45.80	48	2 0 0
66.77	31	2 2 0
80.37	36	3 1 1
84.75	11	2 2 2

Crystal structure
abc: 3.9625 3.9625 3.9625
angles: 90.00 90.00 90.00
Space group Pm-3m (No. 221)
Asymmetric unit:
1 Sb 0.0000 0.0000 0.0000
2 Rh 0.0000 0.5000 0.5000

[4]
Diffraction record for Mn2HgBr. The powder XRD pattern is simulated, not measured: it uses a structure optimized by DFT (PBE) and CuKα.
Peak positions follow from Bragg's law for the DFT cell and can differ from measured ones.

Most intense lines, 10 to 90 degrees two-theta, by angle:
Position (°2θ)	intensity	(hkl)
13.78	98	0 0 1
22.89	66	2 0 0
23.98	37	2 0 -2
29.67	49	1 1 0
36.14	100	1 1 -2
38.29	39	4 0 -2
40.75	34	3 1 -2
44.65	53	3 1 0

Crystal structure
abc: 9.4138 3.2667 7.7873
angles: 90.00 124.37 90.00
Space group C2/m (No. 12)
Asymmetric unit:
1 Mn 0.1459 0.0000 0.3346
2 Hg 0.0000 0.5000 0.5000
3 Br 0.0000 0.5000 0.0000

[5]
Diffraction record for Cs3Pt2. The powder XRD pattern is simulated, not measured: it uses a structure optimized by DFT (PBE) and CuKα.
Peak positions follow from Bragg's law for the DFT cell and can differ from measured ones.

Most intense lines, 10 to 90 degrees two-theta, by angle:
Position (°2θ)	intensity	(hkl)
14.86	61	2 2 0
15.68	25	0 4 0
27.22	50	1 5 1
29.98	100	4 4 0
31.66	43	0 8 0
37.85	32	2 0 2
41.20	34	2 4 2
56.00	25	6 4 2

Crystal structure
abc: 14.0329 22.6096 5.0521
=====

DH, later: "It's not like it's out of the realm of possibility that I would say something like that...but in that context? On a school day over breakfast? It's not like--get up, get up! Eat, eat! Clear your plates! Are you going to eat your butthole? Pack your lunch!"

Tuesday, 25 March 2014

No appreciation for the classics

DH heard Meghan Follows being interviewed on the CBC the other day, and we're highly suggestible, so we ended up watching Anne of Green Gables.

The movie was wrapping up, the girls had already looked at me to check if I was crying when Matthew died (and to laugh at me) (no, not all the girls, I have blessed/cursed S with the inability to sit through almost any show without tearing up about something), Anne had announced that she wasn't going off to school, and she was walking dreamily through another field.

Sorry, I guess that last paragraph should've had a big spoiler alert before it, but really, the book has been around for 100+ years and the movie was broadcast 30 years ago, surely to goodness you all know by now that Matthew dies...

Anyhow, so Anne was walking through the field, Gilbert was approaching on horseback, the music was swelling...and DH and K started giggling. So I gave them the stink-eye. And they giggled again. So I said, "Guys, it's the last, like, two minutes of the movie, can you just NOT?" And they giggled AGAIN.

Movie ended, I was in full happy ending afterglow, and DH explained to the other two (who, of course, just kept saying, "What are you laughing at? What are you laughing at?" for the rest of the movie) that when Gilbert was approaching on horseback, he had leaned over to K and said, "Imagine how different this scene would play out if Gilbert was riding a giraffe?"

Which led to a full five minutes of:

"Imagine if he was riding a monkey?"

"Imagine if he was riding a pig?"

"Imagine if he was riding an ostrich, holding on for dear life?"

And finally, "Imagine if he was riding a unicorn Pegasus? And then the Pegasus was pooping rainbows?"

Wednesday, 19 March 2014

Missed Opportunity

I was at a stop light the other day, and a girl pulled up next to me with her windows down and her crappy thumpy music BLARING.

You know the kind, where your windows are all the way up, but you still can't hear your music because of the THUMPA THUMPA.

The light turned green, and suddenly my dear 101.3 (the heartbeat of South Western Ontario) played Tie a Yellow Ribbon!  And I really, really, really wished it had come on 15 seconds earlier, so I could've rolled down my windows and cranked it, and then given my traffic neighbour this face:

Serge Thomann/WireImage

To show her that I was also rockin' out. In the loser cruiser. To Tony Orlando and Dawn.

Tuesday, 11 March 2014

Parental Guidance

I've been out at rehearsals lately, so the girls have been spending some quality time watching TV with DH. So luckily I missed these two conversations.

1) DH got hooked on a show called Naked and Afraid. There was a marathon on, or something. If you're not familiar with it - this is a show where strangers are dropped in some remote location - naked - and they have to survive for some ridiculously long period of time. Also, DH couldn't recall if there is money on the line. People would do this for kicks?? Anyhow, the important thing to note here is that everyone is naked, but their private bits are blurred out.

So, they were watching an episode with a guy who, in DH's words "must've had a gigantic package" because S finally had to ask, "Pop, why do they keep blurring out that guy's butt?"

2) DH and E were watching a show on Discovery last night, and a commercial came on. They watched in silence, and at the end she said, "Pop, I don't understand - why is that boy getting a car, and what's Cialis?"

Wednesday, 5 March 2014

Cross that one off the list

Thanks to another mom's status update on Facebook, I found out the girls were learning about where babies come from.

(They certainly weren't offering up this information on their own.)

When I asked them what they'd learned at school that day, they casually mentioned that they'd started learning about it, but there was more to come.

Oh, did I mention that one of them was sick that day? So I practically shoved her out the door the next day, not wanting her to miss any of this, because God knows I was in no rush to have this conversation...

So days go by, and nothing is mentioned.

Finally the other day we were driving somewhere and I asked what they learned at school that day.


"Did you learn about where babies come from, and that's why you don't want to talk about it?"


Later on, they started to tell me more about it.

"And then someone asked if you can choose to have a baby, or how you end up having a baby."


"And then the teacher TOLD us! And we giggled. Because he even used the word!!"

"What word? Penis?"





"So....we know, Mommy."

Pause. Meaningful look straight at me.

"We know....."

Thursday, 27 February 2014

How the other half lives

I went to a work event the other day, and one of the presenters was a person I recognized from high school.

I knew he had gone to an Ivy League school after high school (with a scholarship, I think)...when I read his bio, it turns out that yes, he got his undergraduate degree from Harvard, and then he got his Ph.D. from Oxford, where he was a Rhodes Scholar.

I was telling all of this to DH last night over dinner, and we were marvelling at how intelligent and focussed one would have to be to achieve such things.

At which point S said, "May I please change the subject now?"

Me: "Sure, what would you like to talk about?"

S: "M was telling us about this video of gymnasts at the Olympics where someone has dubbed it to make it look like they're all farting..."

DH: "Oh, man, we've gotta see that!"

I'm 97% sure that the same conversation was not happening at the Rhodes Scholar's dinner table last night.

Sunday, 16 February 2014

Free labour!

I had two goals yesterday: get groceries and clean the bathroom.

(Spoiler alert: I accomplished neither.)

The second goal was especially important because, when I tried to remember the last time I thoroughly cleaned the bathtub, the best answer I could come up with was "before Christmas."

But when I realized it probably wasn't going to happen, I did my best impression of a multi-tasker and put the kids to work. Before each of them went in for a shower, I sprayed the cleaner on the tub, threw a washcloth on top, and told them to skate around while they were in there and get cleanin'.

Also, fun fact about me: if I get out of the shower and put my hair in a Turbie Twist,

and then get distracted by cleaning the damn tub, and my hair ends up drying completely in the Turbie Twist, when I eventually take off the Turbie Twist, I look like this guy:

Sunday, 9 February 2014

That was lovely. Loud, but lovely.

I just came home from rehearsal and everyone is asleep.

I got ready for bed downstairs, then came up to my bedroom to find K sleeping in my spot. She and DH were snoring away, and she was sleeping so soundly I didn't want to disturb her, so I climbed into her bed.

As I lay there listening to E and S snoring, I was so filled with love. Lying in that cozy room, lit by the two bedside lights we've been using since we brought the girls home from the hospital, I thought about how lucky I am to be in a house with so much life and love in it. I listened to the rhythm of their wheezy, whistling breaths, and I thought about the fact that moments like this are fleeting, and the girls will be out of the house before I know it, and I'll look back on tonight and wish I could relive it one more time. I looked at their angelic little faces, surrounded by so many stuffed animals they were almost completely camouflaged in the cuteness.

And then I thought, "This snoring is driving me nuts, I've got to go downstairs and get some sleep."

Tuesday, 4 February 2014

I'm such a hypocrite

The girls were talking about a boy in their class who was being rude and grumpy and swearing at school the other day.

Me: Well, maybe he hears that kind of stuff at home, so....

E: Well so do we!! We just don't repeat it!!


Speaking of swearing, I've mentioned before that they gave me a heart attack one day when they said someone at school had used the C word.  (Turned out the kid had said, 'Crap.')

Yesterday they reported that someone used the F word!

Me: Really? The F word??

E: Yes, you know. The F - R word....

I couldn't actually determine if it was "frig" or "freakin'", because she wouldn't repeat it.

I guess this means that they think everything I say is a swear word, so they just don't repeat anything?

Not even "fudge knuckle" or "mother of pearl"? I feel like I'm making up these substitutes for nothing, now.

Wednesday, 29 January 2014

Not my kid...but still funny

On their way to Mass at school the other day, one of the girls in Kindergarten leaned over to one of my girls and told her:

"It's not really Jesus at Mass every time. It's just a guy dressed up."


Also, back on the subject of dreams:

Last night I dreamed that I was hunting for alligators by sticking my legs in muddy water and feeling around to see where the alligators were.

Then an alligator was biting my toes and I had to remain calm until it let go.

Then I woke up, and my toe was hurting.

I explained all this to DH, and he immediately said:

"That's weird, last night I dreamed I was eating chicken wings, and I woke up with your toe in my mouth."

Funny guy, that DH. Funny, funny guy.

Sunday, 26 January 2014

Yes...*that's* what we were wondering

What are we eating that's giving us weird dreams? (Besides the haggis last night?)

E came in sleep walking the other night, and stood by my bed, holding up a stuffed animal, saying, "It's okay - I've got the rooster!"

DH had a dream that our friends, the Bad Influence Neighbours (B.I.N.s) were mad at him for breaking one of their priceless cement laundry tubs.

And then he had another dream that sounded awful. You could tell he was still upset by it when he was telling us about it the next morning.

They were all climbing a mountain (I wasn't there - even in dreams he must know I'd sit that one out) and E fell. He was describing in great detail how he saw her start to fall, and he couldn't get to her, and she went off the ledge...

And then K interjected:

"Wait a minute. Was I wearing a hat?"

So our brains do weird things while we're sleeping. K's does weird things while she's awake.

Thursday, 23 January 2014

It's getting weird

So, I'm getting a bit obsessed with the number count on my FitBit pedometer.

Like, I'm walking around as I'm typing this right now.

But I realized things were getting weird this morning, when my fixation on the step count collided with my complete lack of self-control...

...and I went into the lunch room and jogged on the spot while eating a doughnut.

(Yes, I think a tale of obsession, indulgence and weirdness is a fitting way to herald my return, don't you?)